Excerpt.
********
The following is a DFT calculation (ωB97M-V/def2-TZVPD) of CH2O2S in the gas phase in a non-equilibrium geometry.

Structure (XYZ):
```
6
Properties=species:S:1:pos:R:3:nbo_charge:R:1
H 1.289 -1.413 0.768 0.181
S 1.152 0.038 1.216 0.006
C -0.296 0.239 0.272 0.597
O -0.230 -0.345 -0.910 -0.702
H -0.851 0.334 -1.613 0.514
O -1.064 1.147 0.267 -0.595
```

Computed properties:
HOMO energy in eV: -10.3
Electronic energy in eV: -15998.20698
HOMO-LUMO gap in eV: 10.55
ΔE to the lowest compared entry with this formula, charge and spin in kcal/mol: 39.9
E_LUMO in hartree: 0.00846
SMILES: O=C(O)S
Multiplicity: 1

***

The following is a DFT calculation (ωB97M-V/def2-TZVPD) of C5H9NOS in the gas phase in a non-equilibrium geometry.

Structure (XYZ):
```
17
Properties=species:S:1:pos:R:3:nbo_charge:R:1
C -0.822 -0.566 -0.006 0.301
H 1.270 -2.615 -0.174 0.221
C 0.637 0.708 -1.152 -0.362
N -0.457 0.635 -0.313 -0.455
H -2.956 -0.872 -0.037 0.210
H -0.642 2.585 -0.329 0.220
H -1.877 -2.295 0.633 0.232
O 2.580 0.596 0.827 -1.005
C -1.893 -1.297 0.145 -0.500
H -1.764 1.619 0.862 0.217
H 0.625 -0.017 -2.037 0.213
H 1.351 -1.894 1.381 0.234
H 1.020 1.722 -1.545 0.233
C -0.713 1.812 0.484 -0.407
C 1.325 -1.637 0.308 -0.806
H 0.068 1.740 1.245 0.238
S 2.247 -0.224 -0.293 1.216
```

Computed properties:
HOMO energy in eV: -8.1
Electronic energy in eV: -19698.23178
HOMO-LUMO gap in eV: 8.73
ΔE to the lowest compared entry with this formula, charge and spin in kcal/mol: 140.0
E_LUMO in hartree: 0.02500
Multiplicity: 1

***

The following is a DFT calculation (ωB97M-V/def2-TZVPD) of 2 unconnected molecules or ions with the total composition C3H4N2OS in a non-equilibrium geometry.

Structure (XYZ):
```
11
Properties=species:S:1:pos:R:3:nbo_charge:R:1
O -0.971 -2.322 -1.208 -0.448
H 1.870 -0.341 -2.164 0.209
H -0.170 1.671 2.069 0.218
C -1.728 -1.496 -0.952 0.453
N 0.723 0.332 -0.648 0.002
H 1.390 1.323 1.648 0.196
H 0.219 -0.213 1.860 0.202
N 0.060 0.991 0.090 -0.302
C 1.125 -0.376 -1.468 -0.066
S -2.898 -0.454 -0.736 -0.008
C 0.378 0.885 1.509 -0.457
```

Computed properties:
HOMO energy in eV: -8.5
Electronic energy in eV: -19035.29352
HOMO-LUMO gap in eV: 9.27
ΔE to the lowest compared entry with this formula, charge and spin in kcal/mol: 86.6
E_LUMO in hartree: 0.02776
Multiplicity: 1

***

The following is a DFT calculation (ωB97M-V/def2-TZVPD) of C5H4O2 in the gas phase in a non-equilibrium geometry.

Structure (XYZ):
```
11
Properties=species:S:1:pos:R:3:nbo_charge:R:1
H -2.183 1.642 -0.200 0.168
H 1.243 -2.209 -1.140 0.203
C 1.022 -1.241 -0.808 0.079
C -1.288 1.317 0.363 0.360
C 0.886 0.192 0.833 0.187
O -1.123 1.859 1.508 -0.552
C -0.175 -0.644 -0.963 -0.283
H 1.207 0.709 1.762 0.239
C -0.384 0.247 0.145 -0.257
O 1.629 -0.760 0.241 -0.377
H -0.834 -1.112 -1.741 0.233
```

Computed properties:
HOMO energy in eV: -9.2
Electronic energy in eV: -9342.43146
HOMO-LUMO gap in eV: 9.27
ΔE to the lowest compared entry with this formula, charge and spin in kcal/mol: 40.4
E_LUMO in hartree: 0.00234
SMILES: O=Cc1ccoc1
Multiplicity: 1

***

The following is a DFT calculation (ωB97M-V/def2-TZVPD) of a molecular structure, C30H24N4O2S3Ti in a non-equilibrium geometry.

Structure (XYZ):
```
64
Properties=species:S:1:pos:R:3:nbo_charge:R:1
O 2.641 -0.427 2.471 -0.494
S 0.859 2.751 1.915 0.471
C 2.543 7.121 1.425 -0.263
H 0.826 -6.112 -1.156 0.219
S 0.908 5.275 3.417 -0.149
H -4.362 3.121 1.392 0.220
C -3.917 -2.085 -0.597 -0.209
H 2.102 -5.193 0.772 0.227
N 0.708 -1.677 -0.062 -0.503
H -3.854 3.390 -1.272 0.219
C 0.432 -2.733 -0.889 0.251
H -2.233 2.053 -2.956 0.227
H 4.574 7.320 -1.848 0.214
C 1.721 -4.204 0.542 -0.093
C 0.488 -5.113 -1.408 -0.165
C 2.054 -3.129 1.310 -0.238
H -4.811 -3.752 0.423 0.214
H -0.601 -5.718 -3.131 0.224
C -2.043 -2.078 1.438 -0.252
H 3.125 9.150 1.735 0.215
H -1.429 1.204 3.082 0.229
N 1.971 4.765 0.912 -0.258
C -1.920 -1.136 0.408 -0.361
C 2.623 6.012 0.592 0.213
C 3.933 8.384 -0.096 -0.218
H -2.892 2.094 3.466 0.239
********

Job.
Find "0.862 0.217" and "-1.728 -1.496" in the data further above, and return these two lines and those between.

Reply.
H -1.764 1.619 0.862 0.217
H 0.625 -0.017 -2.037 0.213
H 1.351 -1.894 1.381 0.234
H 1.020 1.722 -1.545 0.233
C -0.713 1.812 0.484 -0.407
C 1.325 -1.637 0.308 -0.806
H 0.068 1.740 1.245 0.238
S 2.247 -0.224 -0.293 1.216
```

Computed properties:
HOMO energy in eV: -8.1
Electronic energy in eV: -19698.23178
HOMO-LUMO gap in eV: 8.73
ΔE to the lowest compared entry with this formula, charge and spin in kcal/mol: 140.0
E_LUMO in hartree: 0.02500
Multiplicity: 1

***

The following is a DFT calculation (ωB97M-V/def2-TZVPD) of 2 unconnected molecules or ions with the total composition C3H4N2OS in a non-equilibrium geometry.

Structure (XYZ):
```
11
Properties=species:S:1:pos:R:3:nbo_charge:R:1
O -0.971 -2.322 -1.208 -0.448
H 1.870 -0.341 -2.164 0.209
H -0.170 1.671 2.069 0.218
C -1.728 -1.496 -0.952 0.453